Dear Learn and Teach I work at Murray and Roberts in Pretoria. My home is in Zeerust. In 1982 I bought a hi-fi set from Frasers Furnishers in Zeerust on HP. First they sent me the wrong hi-fi set. Then the hi-fi set did not work properly. I told Frasers Furnishers. They said they would fix it or give me another one. But they did not do this. So I stopped paying them. Then people from Frasers came to my place. They took the hi-fi and said they would fix it. Then they said I must pay extra money because I was behind with my payments. I asked them for the address of their head office. They would not give it to me. They said I must pay my money before I can take the hi-fi. Please help me with this problem and give me the address of the Frasers head office. David Rammekwa IRENE
Thank you for your letter. We are very sorry to hear about your problem. We spoke to Mr Booysens at Frasers head office. He is the manager for the Transvaal. He was very helpful. He said that we must send your letter to him. He will sort out your problem for you. But if you still want to write to him, here is their address: Frasers Head Office P.O. Box 8383 Johannesburg 2000 -editor
Dear Learn and Teach Greetings to all the readers and writers of Learn and Teach. I love your magazine. I am a student at Kuyasa High School in Dimbaza. I am doing Standard Seven. I want to stay at school but my parents have no money. Please send me the address of someone who can give me a bursary. If I get a bursary, maybe my dreams will come true. Please help me. Mandisa Siwisa KWA-DIMBAZA
Thank you for your letter. If you want a bursary, write to the Education Information Centre they will help you. Their address is: 601 Dunwell House 35 Jorrissen Street Braamfontein 2001
Dear Learn and Teach We want to start a company. We want to make things from wax, like candles, floor polish and so on. But we don’t have enough money to start. We are looking for an organisation or a company who can help us. We heard about an organisation called JOBS — the Johannesburg Organisation to Boost Self-help. They helped people called the Ukukhanya Candle Making Project. Can you send us their address — or the address of anyone who can help us. We tried the Small Business Development Corporation but they want too much interest. If you help us, we will be very thankful. Jotham Kunene DAVEYTON PS. I am a Learn and Teach reader.
Thank you for your letter. We are pleased to hear that people are trying to make jobs for them-selves. We are sorry to tell you that JOBS — the Johannesburg Organisation to Boost Self-help — is not working anymore. But you can try SHADE — Their address is: P.O. Box 5065 Horizon Roodepoort 1730 Tel: (011) 766-1243 (011)763-1270 — editor
Dear Learn and Teach I am a student of the language institute in Maputo, Mozambique. I am nineteen years old and I am learning English. I want to have a penfriend from South Africa. I think that writing letters will help me make my English better. I like listening to music and watching films. I also like outdoor games like football and tennis. Tomas Pedro Rungo Instituto de Lingua de Maputo Rua Hamed Sekou Toure C. P. 1260 Mozambique
Thank you for your letter. We hope that one of our readers will write back to you. Good luck with your English. — editor
Dear Learn and Teach I hope you will help me with my problem. I am at school at Mankoeng. I am doing Form Four. I do not understand Afrikaans. I read Afrikaans books but I never know what they are about. I also have problems with my History homework. What can I do? TshelloTshoare LESHOANE
Thank you for your letter. We are sorry to hear that you are having problems with your school- work. Write to the Career Information Centre in Durban. Their address is: 20 St Andrews St Durban 4001. They have books on how to study. Good luck, editor
Dear Learn and Teach I am fine. But there is one thing that is worrying me. I am a domestic worker because I did not go to school. I want to join a union for domestic workers. But I do not know where to find the union. Please send me their address. These boers are so silly. I only get R50 per month and they do not pay me for Sundays. Please help me. Gadinthone Modiakgotla KRUGERSDORP
Thank you for your letter. We are sorry to hear about your problems. We know that most domestic workers get very bad pay. There is a union for domestic workers. They are called the South African Domestic Workers Association. Their address is: SADWA Tudor Mansions 78 Troye Street Johannesburg 2001 — editor
Dear Learn and Teach I am asking for help. I am looking for a school where I can do something practical like welding or carpentry. Jacob Mothoa HAMMANSKRAAL
Dear Learn and Teach Can you please give me the addresses of schools where I can learn welding. I will be happy if you send them as soon as possible. Zaphi Mauti KLEINMOND
Dear Learn and Teach Thank you very much for your magazine. I started to read it in 1982. I say ‘Viva Learn and Teach’. I have finished my matric. I am looking for a college where I can do ‘in-service’ training. I have Physics and Biology. L. Monaheng SOWETO
Thank you for your letters. Technikons give practical training. They teach things like welding and carpentry. Here are some addresses for all of you: The Registrar Mabopane East Technikon Private Bag X24 Soshanguve 0152 Or George Tabor PO Box 895 Roodepoort 1725 or: Thuto Matlale Technical College P.O. Box 14 Silverton Pretoria 0127 or: Tlamoha Techincial College P.O. Box 11324 Springs 1560. Good luck. — editor
Dear Learn and Teach I want to thank you for your magazine. It teaches us many things. I work for the Schoenstatt sisters in Constantia. It is a Roman Catholic Convent. I started to work here on 7th August 1986. When I started, the sister in charge told me what hours I must work, how I must work and how much money I would get. She said that the pay is R32 per week. I told her that R32 is not enough. I am married with two children. She said if I do not like it, then I can leave. Here I get up at five o’clock every morning to milk the cows. Then I have to work in the garden. I pick flowers, plant seeds, cut the grass. I also carry heavy things like bags of cement and food for the cows. But the big problem is that the sister says we cannot join a union. She says we are part of the Catholic church. We must do what they do — pray. There are some people who have worked here for a long time. They say that we are making trouble. They used to get R20 a week. But when I came, I wanted more money and I want a trade union. I think that these workers are like this because they get more money than the other workers here. They told the sisters what I said about finding a union. The sister in charge said I must talk to the bishops. But I do not know where the bishops are. I cannot go out because I work on Saturdays and Sundays. I use all my money on food and clothes for my mother, my wife and my children. Right now they are starving. But when I tell the sisters this, they say we must pray. Alfred Vuso CONSTANTIA
Thank you for your letter, Alfred. We are very sorry to hear about your problems at work. Go and speak to the General Workers Union. They will help you with your problem. But you will have to take time off to go there. Their address is: II Benbow Buildings Beverly Street Athlone.
Dear Learn and Teach I work for a company called RE.D. in Wadeville. We work six days a week. We start work at six o’clock and we finish at half past five in the afternoon. On Saturdays we work from seven o’clock to eleven o’clock. Our payslips do not tell us how much we get for an hour. So I do not know if we get overtime or not. I do not know if we are paid for Saturdays. But I only get R259,71 per month and I work sixty one and a half hours. I am frightened to ask the boss. I am frightened he will fire me. The problem here is this. Most of the workers come from the homelands. They do not have the right stamps in their passes. What can we do? Miss Winnie KATLEHONG
Thank you for your letter. Your factory sounds very bad. First, the law says that you can only work 46 hours a week. And you can only work 10 hours overtime. So you can only work fifty six hours a week. If you work more than fifty six hours, then your bos is breakng the law. Your payslip must show how much time you work, and how much time overtime you worked. At the moment the government also says that people don’t have to worry about passes. It sounds like your boss is breaking many laws. But we need to know more before we can help you. The best thing for you to do, is to get advice. Go to the East Rand Advice Centre. Their address is Room 211, Argosy House Cnr President and Spitsburg Ave Germiston
Dear Learn and Teach I have a problem. I worked at a factory called ‘Brollo Africa’. I was hurt there in September 1984. When I asked the factory for my accident pay, they said I must get the money from Pretoria. So I went to Pretoria, to a building called the Marias Viljoen Building. They told me that I will only get money if something was cut off my body. Timothy Mamabolo ELANDSFONTEIN
Thank you for your letter. We are sorry to hear about your accident. The law says that the Workmen’s Compensation must pay you 3/4 of your wages while you are in hospital. But you can only get this money if your boss does not pay you as well. If you are well enough to go back to work,then Workmen’s Compensation will not pay you for your injury. They only pay you if you were hurt so badly that you cannot work again. We hope that this answers your question. If you still think that they must pay you, go to the Tembisa Advice Office. Their address is: Methodist Church 816 Mashemong Section Tembisa Tel:920-2402. —editor
Dear Learn and Teach Greetings to you all. As a Learn and Teach reader, I want to tell you how I feel about your magazine. Your magazine has taught me about the struggle of Africans. I thank you very much for telling us about our leaders. Your pictures of our heroes bring life and joy to me. I want more pictures of people like Robert Sobukwe, Walter Sisulu, Govan Mbeki and Raymond Mhlaba. I also want to know where I can buy the book, ‘The struggle is my Life’ by Nelson Mandela. Mncedisi Ganyaza UMTATA
Record 1
Compound: Cr8O21
Source: Materials Project
Functional: PBE with a Hubbard U
Structure: relaxed

Summary:
Space-group type   P-1, No. 2
Calculated formation energy   -1202 meV per atom
Magnetic moment   10.00 μB/cell

Lattice parameters (Å, degrees): 5.4281 6.5928 12.6906 79.64 89.50 82.64
Atoms (fractional coordinates):
Cr  0.1345  0.1264  0.2447
Cr  0.1659  0.2482  0.9054
Cr  0.2310  0.3016  0.4713
Cr  0.3629  0.7050  0.9303
Cr  0.6371  0.2950  0.0697
Cr  0.7690  0.6984  0.5287
Cr  0.8341  0.7518  0.0946
Cr  0.8655  0.8736  0.7553
O  0.0000  0.5000  0.5000
O  0.0514  0.2619  0.7668
O  0.0912  0.6715  0.0324
O  0.1257  0.1523  0.3830
O  0.1395  0.7389  0.8065
O  0.1480  0.8586  0.2263
O  0.3028  0.0027  0.9333
O  0.3215  0.1459  0.5794
O  0.3603  0.2378  0.1754
O  0.4024  0.3961  0.9369
O  0.4631  0.4007  0.4156
O  0.5369  0.5993  0.5844
O  0.5976  0.6039  0.0631
O  0.6397  0.7622  0.8246
O  0.6785  0.8541  0.4206
O  0.6972  0.9973  0.0667
O  0.8520  0.1414  0.7737
O  0.8605  0.2611  0.1935
O  0.8743  0.8477  0.6170
O  0.9088  0.3285  0.9676
O  0.9486  0.7381  0.2332

Record 2
Compound: Cr2O3
Source: Materials Project
Functional: PBE with a Hubbard U
Structure: relaxed

Summary:
Space-group type   P1, No. 1
Calculated formation energy   -1905 meV per atom
Magnetic moment   96.00 μB/cell

Lattice parameters (Å, degrees): 10.0603 10.1294 10.3431 81.57 85.85 85.44
Atoms (fractional coordinates):
Cr  0.0000  0.0000  0.0000
Cr  0.0050  0.2797  0.8760
Cr  0.0589  0.2448  0.3989
Cr  0.0777  0.6158  0.4204
Cr  0.1165  0.8981  0.2393
Cr  0.1507  0.7823  0.6879
Cr  0.1592  0.1277  0.6588
Cr  0.1676  0.6704  0.9432
Cr  0.1724  0.5024  0.6709
Cr  0.3193  0.0434  0.4208
Cr  0.3508  0.2608  0.8077
Cr  0.3627  0.0255  0.1063
Cr  0.3677  0.7386  0.2320
Cr  0.3844  0.9242  0.7193
Cr  0.4373  0.5202  0.9048
Cr  0.4887  0.2413  0.1274
Cr  0.5309  0.5474  0.6380
Cr  0.5974  0.7733  0.9602
Cr  0.6058  0.8441  0.5274
Cr  0.6128  0.6414  0.3966
Cr  0.6226  0.1008  0.6115
Cr  0.6378  0.0627  0.8885
Cr  0.6603  0.5349  0.1536
Cr  0.7019  0.3205  0.7481
Cr  0.7074  0.3487  0.3963
Cr  0.7493  0.9031  0.2041
Cr  0.8083  0.2452  0.1577
Cr  0.8762  0.6756  0.6221
Cr  0.8829  0.7590  0.9874
Cr  0.9114  0.0014  0.7487
Cr  0.9384  0.9480  0.4847
Cr  0.9622  0.4735  0.1921
O  0.0067  0.6227  0.0598
O  0.0311  0.1042  0.8252
O  0.0467  0.8420  0.8954
O  0.0635  0.0221  0.3494
O  0.0751  0.4527  0.3325
O  0.0946  0.6147  0.7939
O  0.1584  0.3129  0.7481
O  0.1714  0.9880  0.0836
O  0.1758  0.7172  0.2578
O  0.1939  0.6687  0.5482
O  0.2293  0.9498  0.6012
O  0.2329  0.2007  0.4881
O  0.2794  0.5180  0.9981
O  0.3076  0.7588  0.8039
O  0.3091  0.0877  0.7715
O  0.3095  0.9120  0.2848
O  0.3541  0.2170  0.9966
O  0.3636  0.4643  0.7339
O  0.3671  0.1520  0.2481
O  0.4312  0.8377  0.0657
O  0.4666  0.7089  0.5227
O  0.4771  0.0069  0.5405
O  0.5044  0.6033  0.2623
O  0.5387  0.2079  0.7765
O  0.5507  0.5921  0.0055
O  0.5598  0.0720  0.0672
O  0.5606  0.9174  0.8079
So much for the materials data =
Thank you very much for your letter. We love to hear from people who like the magazine. We want to write a story about Robert Sobukwe. But we cannot print pictures of the other people because they are in jail. ‘My struggle is my life’ is banned. That means that you cannot buy it. — editor
Dear Learn and Teach I live at Dundonald. We have some problems there. In May this year there was a meeting of Kangwane Inyandza Youth Brigade. The Inyandza whipped us. They told us to keep law and order here at Dundonald. Now we are worried that there will be a big fight. The Inyandza say they are fighting apartheid but we don’t think that they are. We don’t want the Inyandza here. We want the U.D.F., Cosatu and Azapo to help us. Please send us their addresses. No Name
Thank you for your letter. We are sorry to hear about the troubles at your home. Here are the addresses that you asked for.